Next, search the lines further below for the word "geometry" and print each line that has it.

........
{"formula": "YMgW2", "functional": "PBE", "state": "optimized geometry", "dft_energy_ev_per_atom": -7.928, "ef_mev_per_atom": 564, "lattice_angstrom": [[4.672, -1.402, 0.000], [4.672, 1.402, 0.000], [-0.305, 0.000, 6.067]], "species": ["Y", "Mg", "W", "W"], "fractional_positions": [[0.000, 0.000, 0.000], [0.755, 0.755, 0.290], [0.250, 0.250, 0.713], [0.495, 0.495, 0.522]]}

~~~~~

Entry 1:
This record from Alexandria via LeMat-Bulk describes a relaxed CsZrRh3 crystal. The functional is PBE.

Calculated values
DOS at the Fermi energy, states/eV/atom: 0.48
Volume, Å³/atom: 23.39
ΔH_f (0 K), eV per formula unit: 9.0
VASP energy, eV/atom: -4.5006

Cell lengths 4.8905, 4.8905, 4.8905 Å; angles 90.00, 90.00, 90.00 degrees
With the nearest neighbours (Å) after each atom.
Space group Pm-3m (No. 221)
One atom of each set of equivalent atoms:
1 Cs 0.0000 0.0000 0.0000 x1  6 Rh 2.45
2 Zr 0.5000 0.5000 0.5000 x1  12 Rh 3.46
3 Rh 0.0000 0.0000 0.5000 x3  2 Cs 2.45



Entry 2:
This record from Alexandria via LeMat-Bulk describes a relaxed NaUTe3Pd crystal. The functional is PBE.

Calculated values
DOS at the Fermi energy, states/eV/atom: 1.16
Volume, Å³/atom: 29.80
VASP energy, eV/atom: -5.1962

Cell lengths 8.3896, 4.2576, 10.5101 Å; angles 90.00, 107.71, 90.00 degrees
With the nearest neighbours (Å) after each atom.
Space group P2_1/m (No. 11)
One atom of each set of equivalent atoms:
1 Na 0.2303 0.2500 0.2950 x2  6 Te 3.27-3.34, 1 Pd 3.65
2 U 0.3094 0.7500 0.8290 x2  6 Te 2.95-3.11
3 Te 0.0664 0.2500 0.8475 x2  1 Pd 2.75, 2 U 2.99
4 Te 0.2582 0.7500 0.5383 x2  3 Pd 2.70-2.83, 1 U 2.95
5 Te 0.4161 0.7500 0.1396 x2  3 U 3.08-3.11, 2 Na 3.34
6 Pd 0.0914 0.2500 0.5923 x2  4 Te 2.70-2.83, 2 Pd 2.97



Entry 3:
This record from Alexandria via LeMat-Bulk describes a relaxed BaEuEr2 crystal. The functional is PBE.

Calculated values
DOS at the Fermi energy, states/eV/atom: 1.43
Volume, Å³/atom: 37.70
ΔH_f (0 K), eV per formula unit: 1.2
VASP energy, eV/atom: -5.0240

Cell lengths 3.6375, 3.6375, 39.4782 Å; angles 90.00, 90.00, 120.00 degrees
With the nearest neighbours (Å) after each atom.
Space group R-3m (No. 166, hexagonal axes)
One atom of each set of equivalent atoms:
1 Ba 0.0000 0.0000 0.0000 x3  2 Er 3.60, 6 Ba 3.64
2 Eu 0.0000 0.0000 0.5000 x3  6 Eu 3.64, 6 Er 3.64
3 Er 0.0000 0.0000 0.0912 x6  1 Ba 3.60, 6 Er 3.64, 3 Eu 3.64



Entry 4:
This record from Alexandria via LeMat-Bulk describes a relaxed CsYCd2F8 crystal. The functional is PBE.

Calculated values
DOS at the Fermi energy, states/eV/atom: 0.00
Volume, Å³/atom: 20.79
VASP energy, eV/atom: -4.8912

Cell lengths 5.5950, 5.6692, 8.2348 Å; angles 79.79, 80.17, 78.55 degrees
With the nearest neighbours (Å) after each atom.
Space group P-1 (No. 2)
One atom of each set of equivalent atoms:
1 Cs 0.0000 0.0000 0.0000 x1  6 F 2.95-3.01
2 Y 0.0000 0.0000 0.5000 x1  6 F 2.18-2.21
3 Cd 0.4560 0.4549 0.2235 x2  5 F 2.19-2.25
4 F 0.1968 0.7683 0.6990 x2  1 Y 2.21, 1 Cd 2.22
5 F 0.2172 0.7861 0.3076 x2  1 Y 2.21, 1 Cd 2.22
6 F 0.2679 0.2454 0.4401 x2  1 Y 2.18, 1 Cd 2.19
7 F 0.3562 0.3322 0.0020 x2  2 Cd 2.25



Entry 5:
This record from Alexandria via LeMat-Bulk describes a relaxed TaAuCSe2 crystal. The functional is PBE.

Calculated values
DOS at the Fermi energy, states/eV/atom: 0.71
Volume, Å³/atom: 20.81
VASP energy, eV/atom: -4.7465

Cell lengths 5.2481, 5.2481, 3.7774 Å; angles 90.00, 90.00, 90.00 degrees
With the nearest neighbours (Å) after each atom.
Space group P4/mmm (No. 123)
One atom of each set of equivalent atoms:
1 Ta 0.0000 0.0000 0.0000 x1  8 Se 3.23
2 Au 0.5000 0.5000 0.5000 x1  2 C 1.89
3 C 0.5000 0.5000 0.0000 x1  2 Au 1.89
4 Se 0.0000 0.5000 0.5000 x2  2 Au 2.62



Entry 6:
This record from Alexandria via LeMat-Bulk describes a relaxed Tc5Rh4 crystal. The functional is PBE.

Calculated values
DOS at the Fermi energy, states/eV/atom: 1.10
Volume, Å³/atom: 14.35
ΔH_f (0 K), eV per formula unit: -0.6
VASP energy, eV/atom: -9.0889
........

{"formula": "YMgW2", "functional": "PBE", "state": "optimized geometry", "dft_energy_ev_per_atom": -7.928, "ef_mev_per_atom": 564, "lattice_angstrom": [[4.672, -1.402, 0.000], [4.672, 1.402, 0.000], [-0.305, 0.000, 6.067]], "species": ["Y", "Mg", "W", "W"], "fractional_positions": [[0.000, 0.000, 0.000], [0.755, 0.755, 0.290], [0.250, 0.250, 0.713], [0.495, 0.495, 0.522]]}